== Given ==
'''
Density functional theory data (PBE) for Mg6VC after structural relaxation.

Cell: 3.0917 9.8360 10.4404 Å, 90.00 90.00 90.00°
Fractional coordinates of all 16 atoms:
Mg (0.0000, 0.0000, 0.0000)
Mg (0.0000, 0.1582, 0.2782)
Mg (0.0000, 0.3418, 0.7782)
Mg (0.0000, 0.5000, 0.5000)
Mg (0.0000, 0.6582, 0.7782)
Mg (0.0000, 0.8418, 0.2782)
Mg (0.5000, 0.0000, 0.7451)
Mg (0.5000, 0.2382, 0.5322)
Mg (0.5000, 0.2618, 0.0322)
Mg (0.5000, 0.5000, 0.2451)
Mg (0.5000, 0.7382, 0.0322)
Mg (0.5000, 0.7618, 0.5322)
V (0.0000, 0.0000, 0.4971)
V (0.0000, 0.5000, 0.9971)
C (0.5000, 0.0000, 0.3882)
C (0.5000, 0.5000, 0.8882)

Values from the calculation:
**Formation energy from the elements**: 0.21 eV/atom

---

Density functional theory data (PBE) for Mg6VC after structural relaxation.

Cell: 4.5393 5.7757 11.7542 Å, 90.00 90.00 90.00°
Fractional coordinates of all 16 atoms:
V (0.5000, 0.0000, 0.1809)
V (0.5000, 0.5000, 0.6809)
Mg (0.5000, 0.7559, 0.4423)
Mg (0.5000, 0.2559, 0.9423)
Mg (0.0000, 0.0000, 0.8197)
Mg (0.0000, 0.2593, 0.0943)
Mg (0.5000, 0.7441, 0.9423)
Mg (0.5000, 0.2441, 0.4423)
Mg (0.0000, 0.0000, 0.3277)
Mg (0.0000, 0.7407, 0.0943)
Mg (0.0000, 0.5000, 0.3197)
Mg (0.0000, 0.2407, 0.5943)
Mg (0.0000, 0.7593, 0.5943)
Mg (0.0000, 0.5000, 0.8277)
C (0.5000, 0.5000, 0.0984)
C (0.5000, 0.0000, 0.5984)

Values from the calculation:
**Formation energy from the elements**: 0.63 eV/atom

=====

VASP calculation (PBE) on crystalline NdC3O9 at its relaxed geometry.

The structure in POSCAR format:
```
NdC3O9
1.0
12.043 0.000 0.000
0.000 9.223 0.000
-4.031 0.000 10.653
Nd C O
4 12 36
Direct
0.175 0.013 0.283 Nd
0.175 0.487 0.783 Nd
0.825 0.513 0.217 Nd
0.825 0.987 0.717 Nd
0.025 0.578 0.497 C
0.025 0.922 0.997 C
0.102 0.040 0.631 C
0.102 0.460 0.131 C
0.488 0.600 0.863 C
0.488 0.900 0.363 C
0.512 0.100 0.637 C
0.512 0.400 0.137 C
0.898 0.540 0.869 C
0.898 0.960 0.369 C
0.975 0.078 0.003 C
0.975 0.422 0.503 C
0.017 0.143 0.107 O
0.017 0.357 0.607 O
0.040 0.000 0.684 O
0.040 0.500 0.184 O
0.103 0.625 0.598 O
0.103 0.875 0.098 O
0.163 0.076 0.576 O
0.163 0.424 0.076 O
0.215 0.237 0.831 O
0.215 0.263 0.331 O
0.231 0.644 0.941 O
0.231 0.856 0.441 O
0.304 0.211 0.298 O
0.304 0.289 0.798 O
0.392 0.583 0.787 O
0.392 0.917 0.287 O
0.417 0.116 0.562 O
0.417 0.384 0.062 O
0.583 0.616 0.938 O
0.583 0.884 0.438 O
0.608 0.083 0.713 O
0.608 0.417 0.213 O
0.696 0.711 0.202 O
0.696 0.789 0.702 O
0.769 0.144 0.559 O
0.769 0.356 0.059 O
0.785 0.737 0.669 O
0.785 0.763 0.169 O
0.837 0.576 0.924 O
0.837 0.924 0.424 O
0.897 0.125 0.902 O
0.897 0.375 0.402 O
0.960 0.000 0.316 O
0.960 0.500 0.816 O
0.983 0.643 0.393 O
0.983 0.857 0.893 O
```

Properties
Its crystal system is monoclinic. As for the formation energy: -1328 meV/atom.

---

VASP calculation (PBE) on crystalline NdCO4 at its relaxed geometry.

The structure in POSCAR format:
```
NdCO4
1.0
7.357 0.000 0.000
0.000 4.990 0.000
0.000 0.000 8.454
Nd C O
4 4 16
Direct
0.145 0.250 0.166 Nd
0.355 0.750 0.666 Nd
0.645 0.250 0.334 Nd
0.855 0.750 0.834 Nd
0.197 0.250 0.820 C
0.303 0.750 0.320 C
0.697 0.250 0.680 C
0.803 0.750 0.180 C
0.037 0.750 0.600 O
0.151 0.025 0.886 O
0.151 0.475 0.886 O
0.205 0.750 0.194 O
0.295 0.250 0.694 O
0.349 0.525 0.386 O
0.349 0.975 0.386 O
0.463 0.250 0.100 O
0.537 0.750 0.900 O
0.651 0.025 0.614 O
0.651 0.475 0.614 O
0.705 0.750 0.306 O
0.795 0.250 0.806 O
0.849 0.525 0.114 O
0.849 0.975 0.114 O
0.963 0.250 0.400 O
```

Properties
For the energy above the most stable polymorph in this dataset, the calculation gives 66 meV per atom. Its crystal system is orthorhombic. As for the formation energy: -2443 meV/atom.

---

VASP calculation (PBE) on crystalline NdC3O11 at its relaxed geometry.

The structure in POSCAR format:
```
NdC3O11
1.0
11.187 0.000 0.000
0.000 9.917 0.000
-3.417 0.000 9.573
Nd C O
4 12 44
Direct
0.177 0.142 0.352 Nd
0.177 0.358 0.852 Nd
0.823 0.642 0.148 Nd
0.823 0.858 0.648 Nd
0.048 0.023 0.574 C
0.048 0.477 0.074 C
0.066 0.650 0.508 C
0.066 0.850 0.008 C
'''

== Work order ==
Next, quote all of the lines above without altering anything.

== Written answer ==
Density functional theory data (PBE) for Mg6VC after structural relaxation.

Cell: 3.0917 9.8360 10.4404 Å, 90.00 90.00 90.00°
Fractional coordinates of all 16 atoms:
Mg (0.0000, 0.0000, 0.0000)
Mg (0.0000, 0.1582, 0.2782)
Mg (0.0000, 0.3418, 0.7782)
Mg (0.0000, 0.5000, 0.5000)
Mg (0.0000, 0.6582, 0.7782)
Mg (0.0000, 0.8418, 0.2782)
Mg (0.5000, 0.0000, 0.7451)
Mg (0.5000, 0.2382, 0.5322)
Mg (0.5000, 0.2618, 0.0322)
Mg (0.5000, 0.5000, 0.2451)
Mg (0.5000, 0.7382, 0.0322)
Mg (0.5000, 0.7618, 0.5322)
V (0.0000, 0.0000, 0.4971)
V (0.0000, 0.5000, 0.9971)
C (0.5000, 0.0000, 0.3882)
C (0.5000, 0.5000, 0.8882)

Values from the calculation:
**Formation energy from the elements**: 0.21 eV/atom

---

Density functional theory data (PBE) for Mg6VC after structural relaxation.

Cell: 4.5393 5.7757 11.7542 Å, 90.00 90.00 90.00°
Fractional coordinates of all 16 atoms:
V (0.5000, 0.0000, 0.1809)
V (0.5000, 0.5000, 0.6809)
Mg (0.5000, 0.7559, 0.4423)
Mg (0.5000, 0.2559, 0.9423)
Mg (0.0000, 0.0000, 0.8197)
Mg (0.0000, 0.2593, 0.0943)
Mg (0.5000, 0.7441, 0.9423)
Mg (0.5000, 0.2441, 0.4423)
Mg (0.0000, 0.0000, 0.3277)
Mg (0.0000, 0.7407, 0.0943)
Mg (0.0000, 0.5000, 0.3197)
Mg (0.0000, 0.2407, 0.5943)
Mg (0.0000, 0.7593, 0.5943)
Mg (0.0000, 0.5000, 0.8277)
C (0.5000, 0.5000, 0.0984)
C (0.5000, 0.0000, 0.5984)

Values from the calculation:
**Formation energy from the elements**: 0.63 eV/atom

=====

VASP calculation (PBE) on crystalline NdC3O9 at its relaxed geometry.

The structure in POSCAR format:
```
NdC3O9
1.0
12.043 0.000 0.000
0.000 9.223 0.000
-4.031 0.000 10.653
Nd C O
4 12 36
Direct
0.175 0.013 0.283 Nd
0.175 0.487 0.783 Nd
0.825 0.513 0.217 Nd
0.825 0.987 0.717 Nd
0.025 0.578 0.497 C
0.025 0.922 0.997 C
0.102 0.040 0.631 C
0.102 0.460 0.131 C
0.488 0.600 0.863 C
0.488 0.900 0.363 C
0.512 0.100 0.637 C
0.512 0.400 0.137 C
0.898 0.540 0.869 C
0.898 0.960 0.369 C
0.975 0.078 0.003 C
0.975 0.422 0.503 C
0.017 0.143 0.107 O
0.017 0.357 0.607 O
0.040 0.000 0.684 O
0.040 0.500 0.184 O
0.103 0.625 0.598 O
0.103 0.875 0.098 O
0.163 0.076 0.576 O
0.163 0.424 0.076 O
0.215 0.237 0.831 O
0.215 0.263 0.331 O
0.231 0.644 0.941 O
0.231 0.856 0.441 O
0.304 0.211 0.298 O
0.304 0.289 0.798 O
0.392 0.583 0.787 O
0.392 0.917 0.287 O
0.417 0.116 0.562 O
0.417 0.384 0.062 O
0.583 0.616 0.938 O
0.583 0.884 0.438 O
0.608 0.083 0.713 O
0.608 0.417 0.213 O
0.696 0.711 0.202 O
0.696 0.789 0.702 O
0.769 0.144 0.559 O
0.769 0.356 0.059 O
0.785 0.737 0.669 O
0.785 0.763 0.169 O
0.837 0.576 0.924 O
0.837 0.924 0.424 O
0.897 0.125 0.902 O
0.897 0.375 0.402 O
0.960 0.000 0.316 O
0.960 0.500 0.816 O
0.983 0.643 0.393 O
0.983 0.857 0.893 O
```

Properties
Its crystal system is monoclinic. As for the formation energy: -1328 meV/atom.

---

VASP calculation (PBE) on crystalline NdCO4 at its relaxed geometry.

The structure in POSCAR format:
```
NdCO4
1.0
7.357 0.000 0.000
0.000 4.990 0.000
0.000 0.000 8.454
Nd C O
4 4 16
Direct
0.145 0.250 0.166 Nd
0.355 0.750 0.666 Nd
0.645 0.250 0.334 Nd
0.855 0.750 0.834 Nd
0.197 0.250 0.820 C
0.303 0.750 0.320 C
0.697 0.250 0.680 C
0.803 0.750 0.180 C
0.037 0.750 0.600 O
0.151 0.025 0.886 O
0.151 0.475 0.886 O
0.205 0.750 0.194 O
0.295 0.250 0.694 O
0.349 0.525 0.386 O
0.349 0.975 0.386 O
0.463 0.250 0.100 O
0.537 0.750 0.900 O
0.651 0.025 0.614 O
0.651 0.475 0.614 O
0.705 0.750 0.306 O
0.795 0.250 0.806 O
0.849 0.525 0.114 O
0.849 0.975 0.114 O
0.963 0.250 0.400 O
```

Properties
For the energy above the most stable polymorph in this dataset, the calculation gives 66 meV per atom. Its crystal system is orthorhombic. As for the formation energy: -2443 meV/atom.

---

VASP calculation (PBE) on crystalline NdC3O11 at its relaxed geometry.

The structure in POSCAR format:
```
NdC3O11
1.0
11.187 0.000 0.000
0.000 9.917 0.000
-3.417 0.000 9.573
Nd C O
4 12 44
Direct
0.177 0.142 0.352 Nd
0.177 0.358 0.852 Nd
0.823 0.642 0.148 Nd
0.823 0.858 0.648 Nd
0.048 0.023 0.574 C
0.048 0.477 0.074 C
0.066 0.650 0.508 C
0.066 0.850 0.008 C